We're happy to welcome you as one of our Post-UTME Past Questions Agents. Becoming a Post-UTME Past Questions Agent will not only reward you financially, but it will indeed draw you closer to The Myschool Team. We will become partners!
We are basically opening up our Post-UTME Past Questions Business, to enable us to become more efficient in offering value to students. We're, therefore, willing to share our revenue in this business with other students, individuals, business owners and institutions, who are also passionate about helping students succeed. If your material is more updated than what we currently have for any school, we are happy to work with you and give you the earnings from all the school candidates going forward.
____________
Entry 1:
Below is a geometry-optimized CrSbW2 structure, with properties calculated at the PBE level.

Unit cell a=5.202 b=5.202 c=5.202 alpha=142.85 beta=130.18 gamma=63.75
Atoms (fractional coordinates):
Cr 0.000 0.000 0.000
Sb 0.245 0.745 0.500
W 0.509 0.509 0.000
W 0.760 0.260 0.500

Calculated values
total moment	0.3	μB/f.u.
space group	Imm2
energy	-9.435	eV per atom
raw formation energy	184	kJ/mol of formula units
mass density	14.01	g/cm3

Entry 2:
Below is a geometry-optimized Cr2SbW structure, with properties calculated at the PBE level.

Unit cell a=4.522 b=4.522 c=4.843 alpha=102.72 beta=102.72 gamma=40.21
Atoms (fractional coordinates):
Cr 0.241 0.241 0.221
Cr 0.759 0.759 0.779
Sb 0.000 0.000 0.500
W 0.500 0.500 0.000

Calculated values
total moment	0.6	μB/f.u.
space group	C2/m
energy	-8.577	eV per atom
raw formation energy	195	kJ/mol of formula units
mass density	10.94	g/cm3

Entry 3:
Below is a geometry-optimized CrSbW2 structure, with properties calculated at the PBE level.

Unit cell a=3.888 b=3.888 c=4.380 alpha=90.00 beta=90.00 gamma=90.00
Atoms (fractional coordinates):
Cr 0.000 0.000 0.000
Sb 0.500 0.500 0.000
W 0.000 0.500 0.500
W 0.500 0.000 0.500

Calculated values
total moment	2.1	μB/f.u.
space group	P4/mmm
energy	-9.386	eV per atom
raw formation energy	204	kJ/mol of formula units
mass density	13.58	g/cm3

Entry 4:
Below is a geometry-optimized CrSbW2 structure, with properties calculated at the PBE level.

Unit cell a=2.907 b=2.907 c=8.404 alpha=90.00 beta=90.00 gamma=108.79
Atoms (fractional coordinates):
Cr 0.000 0.000 0.000
Sb 0.500 0.500 0.247
W 0.000 0.000 0.523
W 0.500 0.500 0.772

Calculated values
total moment	1.4	μB/f.u.
space group	Cmm2
energy	-9.347	eV per atom
raw formation energy	219	kJ/mol of formula units
mass density	13.37	g/cm3

Entry 5:
Below is a geometry-optimized Cr2SbW structure, with properties calculated at the PBE level.

Unit cell a=2.958 b=3.951 c=5.378 alpha=90.00 beta=97.26 gamma=90.00
Atoms (fractional coordinates):
Cr 0.000 0.000 0.000
Cr 0.388 0.500 0.216
Sb 0.979 0.000 0.488
W 0.567 0.500 0.784

Calculated values
total moment	0.4	μB/f.u.
space group	Pm
energy	-8.611	eV per atom
raw formation energy	181	kJ/mol of formula units
mass density	10.91	g/cm3

Entry 6:
Below is a geometry-optimized Cr2SbW structure, with properties calculated at the PBE level.

Unit cell a=5.747 b=5.747 c=5.747 alpha=103.38 beta=103.38 gamma=122.49
Atoms (fractional coordinates):
Cr 0.092 0.625 0.967
Cr 0.375 0.342 0.467
Cr 0.658 0.125 0.033
Cr 0.875 0.908 0.533
Sb 0.250 0.750 0.500
Sb 0.500 0.500 0.000
W 0.000 0.000 0.000
W 0.750 0.250 0.500

Calculated values
total moment	3.9	μB/f.u.
space group	I-42d
energy	-8.139	eV per atom
raw formation energy	363	kJ/mol of formula units
mass density	9.69	g/cm3

Entry 7:
Below is a geometry-optimized CrSbW2 structure, with properties calculated at the PBE level.

Unit cell a=3.023 b=3.023 c=7.214 alpha=90.00 beta=90.00 gamma=90.00
Atoms (fractional coordinates):
____________
• Back to the piece:
If you have already compiled this type of material, and are selling it somewhere else, you're welcome to also sell it on Myschool for a broader reach. You can always contact us for any clarifications, or to inquire if we already have the material before uploading yours. You can also let us know if you need some time to get or update your material.
/*
Material: Ba5Eu5Fe10O26
Method: DFT, PBE with a Hubbard U
State: relaxed

Output
VASP energy (eV/atom): -7.4929
DOS at the Fermi energy (states/eV per atom): 1.150
ρ (g cm⁻³): 6.5

Geometry as CIF:
```
data_Ba5Eu5Fe10O26
_chemical_formula_sum 'Ba5 Eu5 Fe10 O26'
_symmetry_space_group_name_H-M 'P -1'
_symmetry_Int_Tables_number 2
_cell_length_a 8.772
_cell_length_b 8.933
_cell_length_c 8.934
_cell_angle_alpha 89.95
_cell_angle_beta 78.33
_cell_angle_gamma 65.81
loop_
_symmetry_equiv_pos_as_xyz
'x,y,z'
'-x,-y,-z'
loop_
_atom_site_label
_atom_site_fract_x
_atom_site_fract_y
_atom_site_fract_z
Ba1 0.000 0.000 0.000
Ba2 0.001 0.402 0.196
Ba3 0.004 0.797 0.395
Eu1 0.496 0.406 0.716
Eu2 0.499 0.787 0.904
Eu3 0.500 0.000 0.500
Fe1 0.249 0.004 0.253
Fe2 0.249 0.195 0.851
Fe3 0.250 0.400 0.454
Fe4 0.250 0.798 0.644
Fe5 0.259 0.598 0.051
O1 0.000 0.104 0.309
O2 0.000 0.500 0.500
O3 0.001 0.705 0.101
O4 0.278 0.798 0.150
O5 0.279 0.379 0.941
O6 0.280 0.485 0.252
O7 0.280 0.692 0.834
O8 0.299 0.280 0.641
O9 0.299 0.980 0.739
O10 0.300 0.079 0.042
O11 0.302 0.879 0.439
O12 0.303 0.577 0.538
O13 0.304 0.180 0.340
O14 0.500 0.500 0.000
```
*/
We require only serious-minded people, who are ready to offer value to buyers. You will need to ensure your material is authentic because we are doing this for candidates to ultimately have an insight into what to expect in their coming exam. They need to be aware of key information such as how many questions they should expect, the composition of the questions (whether it's their core subjects or just general knowledge), the time given for each paper, etc. Once your material is well composed, we will approve it.
Please don't just download any material from the internet and send it to us. It will be immediately disapproved.
We will sell each material at the cost of N1,000 flat (Per Faculty).
This means if we sell 1000 copies for you, you will earn N400,000. Now think about the number of candidates writing post-UTME in that school.
Before you upload a Post-UTME Past Question Material, please check to see that we don't already have it. If your material is more updated than what we currently have for any school, we are happy to work with you and give you the earnings from all the school candidates going forward. You can check by looking at the list of schools we already have on the sales page by clicking here. If a school is already listed and your material is more updated than what we currently have you can apply to become a past questions agent for the school, if your material is not up-to-date, no need to upload material for that particular school. You can then look into other schools that are not listed or updated on the sales page.
There are 2 sections on the Dashboard Menu where you will be able to monitor sales;
The major tip is to meet the acceptable format or conditions for the Post-UTME past questions stated earlier in this publication. Especially the issue of arranging the questions YEAR by YEAR. We do this to ensure candidates are totally satisfied, and that they get true value for the money they spent.
The other major tip is that approval will be on a first come, first served basis. The first person to meet all our criteria wins the bid. This means that even if you're the first to post a material, once it does not meet any of our conditions above, we won't publish it for sale.
We would rather not sell at all than sell inappropriate materials. Remember also that we reserve the right to stop selling your material at anytime if we discover any foul play.
The earlier you compile and upload your material, the earlier we start marketing and selling for you.
/*
Here is a relaxed Pr3Al2Zn9 crystal from Alexandria via LeMat-Bulk. Energies are from PBE-GGA.

Calculated values
For the formation energy from the elements, the calculation gives -0.336 eV/atom. The value obtained for the volume is 544 Å³/cell.

Cell lengths 4.531, 8.890, 13.500 Å; angles 90.00, 90.00, 90.00 degrees
Space group Immm (No. 71)
Unique sites:
Pr 0.000 0.000 0.000 [2 per cell]
Pr 0.000 0.000 0.289 [4 per cell]
Al 0.000 0.181 0.500 [4 per cell]
Zn 0.000 0.284 0.142 [8 per cell]
Zn 0.000 0.359 0.347 [8 per cell]
Zn 0.000 0.500 0.000 [2 per cell]

Here is a relaxed K2ClF5 crystal from Alexandria via LeMat-Bulk. Energies are from PBE-GGA.

Calculated values
The value obtained for the volume is 653 Å³/cell. Its raw formation energy is -1.7668 eV/atom.

Cell lengths 10.782, 8.383, 7.604 Å; angles 90.00, 108.19, 90.00 degrees
Space group P2_1/c (No. 14)
Unique sites:
K 0.006 0.132 0.216 [4 per cell]
K 0.342 0.105 0.085 [4 per cell]
Cl 0.291 0.523 0.120 [4 per cell]
F 0.101 0.132 0.941 [4 per cell]
F 0.141 0.616 0.987 [4 per cell]
F 0.291 0.639 0.320 [4 per cell]
F 0.296 0.094 0.415 [4 per cell]
*/
If you have any suggestions, observations or concerns about this programme, you can call our dedicated helpline for you, between 9am - 5pm from Monday to Friday (Excluding Holidays). You can call 09062547747 or send an email to info@myschool.ng